FaithWalkDaily January 9. 2009

I love God's timeless Word. What was true in King David's time has been true through every age and every war - it is still true today as we battle with the middle east in what is essentially a holy war.
The world is a many faceted gem. What we see is only from U.S. soil. While we read the news and get word of what's happening on the other side of the world, what we learn is written by those from our culture, written from an American perspective. Whether coming from a liberal or conservative point of view, it's still coming from an American who lives in the safest, freest, most wealthy nation in the world. We see through somewhat rose-colored glasses.
Suppose your view of the war in Iraq was from Africa, a land of oppression; Ireland, a land embroiled in it's own age-old holy war; Australia, Iraq's ally and a passive people; or China with trading ships in the Persian Gulf. Your thoughts and feelings would be much different about this war if you were a citizen of another nation. Each country also views through the lens of their leaders. We don't any of us know all that goes on, or all that's going to happen, because there are many secrets kept by our leaders for our own good.
As we saw in the first Psalm, living in alignment with God's plan brings peace and joy in one's life. The wicked will ultimately fall. Nothing really changes much in our world. If we align ourselves with God, rely on His strength and promises, put our trust and hope in Him, we will prevail. Those who have felt enslaved by the freedom of our faith are looking through dirty lenses. They do not realize that in surrendering to Jesus, true freedom awaits.
As Jesus said, "Whoever wants to be first must become your slave. For even I, the Son of Man, came here not to be served but to serve others, and to give my life as a ransom for many." Matthew 20:27-28
Next to the page, the page also holds data records.
........
100
Properties=species:S:1:pos:R:3:forces:R:3 method="wB97M-V/def2-TZVPD" homo_ev=-6.1 homo_lumo_gap_ev=4.56 spin_multiplicity=1 de_lowest_ev=0.000 charge=0
Te 3.66033 2.10466 1.90869 0.6 0.2 -0.2
Sn 0.09030 -0.21381 0.76374 1.2 0.9 0.3
As 0.55147 -1.00490 -1.87210 -0.5 0.2 0.6
Cl -0.01560 7.09901 3.12130 0.0 0.1 0.0
P 2.24586 2.59871 0.09105 2.4 0.9 0.1
Si -0.93879 -0.01242 -3.44089 -0.6 0.4 -0.8
Si 0.19546 -3.35606 -2.00544 0.2 -1.1 -0.2
O 0.71903 1.37501 2.38897 -1.3 -2.0 -0.5
O 3.35225 2.69401 -1.09967 -0.3 -0.1 0.3
O 1.59928 4.08311 0.09655 -0.2 -0.6 -0.2
O 1.11633 1.73809 -0.36735 -1.5 -1.6 0.1
N -2.34759 -1.14681 0.73459 0.9 0.1 0.2
N -0.39714 -1.05194 3.30279 0.0 0.9 -0.6
N -1.83506 1.50470 0.88875 1.6 -0.9 0.1
C 4.44442 -2.62533 2.01907 0.1 0.0 -0.1
C 0.41973 2.60325 2.57231 -0.6 0.3 0.2
C -0.05461 -0.32082 -5.12681 -0.1 0.0 0.9
C 3.05687 1.78647 -3.32902 -0.1 0.1 0.4
C 3.06690 -1.17549 0.71503 -0.2 0.2 -0.3
C -4.67617 -2.17539 -0.35477 0.2 -0.2 0.2
C 2.90432 2.98828 -2.41389 -0.1 0.1 -0.4
C -1.45826 -4.06435 -2.65954 0.4 0.6 0.3
C 1.11062 3.31038 3.59409 0.0 0.1 0.4
C -3.24049 -0.30412 0.19176 -0.6 0.3 -0.3
C -1.47289 2.75104 0.91862 0.0 0.4 0.1
C 0.04876 -5.11717 4.18581 -0.1 0.0 0.1
C -5.36293 0.12032 -0.95170 0.0 0.2 0.0
C -3.75362 -3.00055 0.23105 -0.4 0.1 -0.2
C -0.54239 3.32956 1.81276 0.2 -0.1 0.1
C -3.93834 1.94590 -0.30039 0.6 -0.1 0.2
C 1.75689 6.46400 -0.06712 0.1 -0.5 0.1
C 0.96149 4.65570 3.78877 -0.1 -0.4 -0.1
C 0.93911 -3.07661 3.20689 -0.3 0.0 0.1
C -2.59752 -2.42726 0.76898 0.3 -0.2 0.2
C -1.22268 -3.09213 4.28540 -0.1 0.1 0.0
C -2.96942 1.10055 0.22577 -1.1 0.1 -0.6
C 4.29987 -1.76085 0.94994 -0.1 -0.1 0.0
C -1.08003 1.86400 -3.08179 0.2 -0.7 0.1
C 1.56161 -3.92763 -3.23002 -0.5 0.5 0.5
C -4.44904 -0.78543 -0.38205 0.3 0.2 0.1
C -5.10100 1.46234 -0.90053 -0.3 -0.4 -0.2
C 1.95059 -1.48550 1.48330 -0.9 0.7 -0.3
C -1.08667 -4.43428 4.58780 0.0 0.0 0.0
C -0.61907 4.72916 1.98205 0.0 0.4 0.2
C 1.03047 -4.44091 3.48710 -0.2 0.0 0.1
C -0.22125 -2.39595 3.61059 0.1 -1.0 0.0
C 3.34164 -2.95876 2.77416 -0.1 0.1 0.1
C -2.71556 -0.71473 -3.59718 0.8 0.1 0.3
C 2.06683 -2.45120 2.48807 0.1 0.2 0.0
C 0.59680 -4.19340 -0.34000 -0.1 0.6 -0.5
C 0.11364 5.37379 2.94044 -0.5 0.0 -0.5
C 2.40751 5.19050 0.45054 0.4 0.7 0.1
H -0.85038 2.47749 -3.94862 0.1 0.0 -0.2
H -2.08076 2.12420 -2.74655 -0.2 -0.1 0.1
H -0.23068 -4.12265 0.35745 -0.2 0.0 0.2
H 2.37645 0.99277 -3.01646 0.1 0.0 0.0
H -2.69985 -1.76260 -3.87267 0.0 -0.3 0.0
H 1.88736 -4.99439 3.13623 0.1 0.0 0.0
H -1.84423 -3.02885 1.25216 0.1 -0.3 0.0
H 2.82805 2.07770 -4.35049 0.0 0.0 -0.2
H 2.50160 5.22356 1.54291 0.1 0.0 -0.2
H -1.57178 -3.87830 -3.72281 0.0 0.1 -0.2
H 1.75861 2.73213 4.23530 0.0 0.0 -0.1
H 5.13976 -1.53097 0.31428 0.1 0.2 0.0
H 2.53524 -3.63116 -2.84605 0.1 0.0 0.0
H -1.86070 -4.94367 5.14292 -0.1 0.0 0.0
H 1.45199 -3.70977 0.12083 0.2 0.1 0.1
H 2.37612 7.31840 0.19520 0.0 0.1 0.0
H -1.30148 5.29319 1.36105 0.0 0.1 0.0
H -1.20377 -0.64083 3.75367 0.1 0.1 0.0
........
The page goes on.
We can be grateful that we live in the greatest nation in the world; we are the children of God. Wherever we call home on planet earth, our home, our true nation, is in the heavenly realms because of our Savior. The blood of Jesus was spilled for people of every color and every nation, that we become one nation under God, free forever from the bondage of sin.
Heavenly Father, we don't pretend to understand all that goes on in this world. The ways of man are not the ways of God. We bicker amongst ourselves even neighbor to neighbor about what's best for our country, our children, our freedom. You are sovereign and holy, all wise and all powerful. May our trust be in You alone. May the leaders of our nation, who are taking office at a volatile time in our history, seek Your wisdom and guidance to protect not only our borders but the very foundations upon which those perimeters are defined. Lord we lift up today Barak Obama, Joe Biden, Hillary Clinton, Robert Gates, Timothy Geithner, Tom Daschle, Eric Holder, Janet Napolitano, Susan Rice, Steven Chu, Lisa Jackson, Shaun Donovan, Arne Duncan, Ken Salazar, Tom Vilsack, Leon Panetta and all our state representatives, that You would hold them in Your mighty hands, pour out Your wisdom into their hearts and minds, turn their eyes toward You to fulfill Your plans for our nation. Grant each Christian the heart and wisdom to pray for them, be active in sharing our godly hopes, desires and dreams with our state representatives, and that we not stand passively complaining about what they do or don't do according to what we think is right. In Jesus' name we pray, amen.